Member Communications: Have a Plan for Endorsement Communications
Here the piece breaks off for data records >
********
Diffraction record for Rb2Nb3Cl7O5. The X-ray powder pattern is computed, not measured: it uses a structure optimized by DFT (GGA-PBE) and Cu Kα (weighted mean of Kα1 and Kα2).
Peak positions follow from Bragg's law for the DFT cell and can differ from measured ones.

Cell and atoms:
Lattice parameters (Å, degrees): 17.2829 9.0367 11.3240 90.00 111.16 90.00
Space group C2/c (No. 15)
Asymmetric unit:
Rb1 0.2023 0.0400 0.3561 [8 per cell]
Nb1 0.0000 0.4653 0.2500 [4 per cell]
Nb2 0.0025 0.2114 0.9736 [8 per cell]
Cl1 0.0000 0.0930 0.7500 [4 per cell]
Cl2 0.1492 0.2109 0.6250 [8 per cell]
Cl3 0.1487 0.4295 0.3309 [8 per cell]
Cl4 0.1530 0.2096 0.0422 [8 per cell]
O1 0.0000 0.0000 0.0000 [4 per cell]
O2 0.0013 0.2878 0.1209 [8 per cell]
O3 0.0015 0.3976 0.8744 [8 per cell]

Top 10 peaks for 2θ from 10° to 90°, sorted by position:
Position (°2θ)	I_rel	(hkl)
10.98	93	2 0 0
21.27	53	3 1 -2
21.85	48	1 1 2
22.06	39	4 0 0
22.59	36	2 2 0
25.71	100	2 2 -2
25.95	79	0 2 2
31.63	53	2 0 -4
33.35	60	6 0 0
38.22	40	4 2 2

=====

Diffraction record for Nb2Te4Cl10O. The X-ray powder pattern is computed, not measured: it uses a structure optimized by DFT (GGA-PBE) and Cu Kα (weighted mean of Kα1 and Kα2).
Peak positions follow from Bragg's law for the DFT cell and can differ from measured ones.

Cell and atoms:
Lattice parameters (Å, degrees): 6.8636 8.7168 9.2361 80.80 88.93 74.76
Space group P-1 (No. 2)
Asymmetric unit:
Nb1 0.0129 0.1428 0.1349 [2 per cell]
Te1 0.3157 0.5959 0.3350 [2 per cell]
Te2 0.4174 0.3043 0.5119 [2 per cell]
Cl1 0.0435 0.3275 0.3105 [2 per cell]
Cl2 0.1141 0.0168 0.6705 [2 per cell]
Cl3 0.1570 0.2981 0.9541 [2 per cell]
Cl4 0.3179 0.6993 0.9251 [2 per cell]
Cl5 0.3524 0.9778 0.2153 [2 per cell]
O1 0.0000 0.0000 0.0000 [1 per cell]

Top 10 peaks for 2θ from 10° to 90°, sorted by position:
Position (°2θ)	I_rel	(hkl)
13.22	22	0 1 1
14.76	29	1 1 0
15.55	28	0 1 -1
********
But, to do member communications right you need to plan way ahead. In this post we revisit an endorsement process and help define ways to promote and streamline goals for endorsements and recommendations.
Many organizations recommend or endorse candidates – but often it is not clear, why and how they endorse or recommend. Make sure folks know the reason and process by which you endorse. A clear process gives your endorsement more credibility and authority.
How will you promote endorsements: If your organization endorses but nobody hears it, you are not doing your job. Have a plan for promoting endorsements through social and free press. There are likely campaign finance implications on what you can and can’t do but you have a lot of leeway on what you communicate to members.
Telephone town halls: Getting members to connect with candidates virtually can allow for greater flexibility and engagement than having to go to a forum (zoom works too).
Direct mail: Direct mail for organizational recommendations can have legislative scores, member endorsements and more organization specific information to engage members.
Digital ads: Using platforms to specifically target members can reach members in an engaging and unexpected way. Try featuring user generated content with members talking to members. This may also include Work site targeting, but check with legal – With many digital ad forms you can geo fence worksites to communicate with folks inside, please check with your attorney to see if this qualifies for member communications.
Flyers to members: As folks go back in person, flyers to hand out or put on a bulletin board will come back in fashion – understand the worksite policy for this, but if you can do it don’t forget about this way to engage members.
Email can help: Using email for member communication is under rated and underused when it comes to sharing recommendations. You have member emails, and this can be a powerful tool.
SMS: Texting to membership is a clear and easy way to connect and communicate with members.
Digital slate cards: There are some great tools out there to feature endorsement slates.
Relational organizing: There are plenty of tools out there to help members engage with other members, make sure you harness your tools to engage members in the endorsement process and promote your endorsements.
Collect assets for member communications: Know what assets you will collect beyond endorsement quotes from members and leadership about a candidate. Group photos and interviews can also help with your organization’s member campaigns and potential independent campaigns
Can your organization endorse?: Check your bylaws and ask your lawyer whether your organization can endorse or recommend candidates. Just because you are legally allowed to endorse does not mean you should.
How early should you start?: Being intentional about your endorsement process is critical. Start early with your planning. Executing a clear endorsement process means setting aside time to write questionaries, interview candidates, hold forums, endorse candidates, budget for member communications and having enough time to communicate your endorsement.
== Calculated crystals from another source follow ==
/*
Record 1
For Zr5TlCd, a cell relaxed with GGA-PBE gives the simulated powder diffraction line list in this record (λ = 1.5418 Å (Cu Kα)).
No peak broadening, texture or thermal motion is included.

Cell and atoms:
a b c (Å): 6.0253 6.0253 10.9717
angles (deg): 104.56 104.56 61.79
Sites, in units of the cell vectors:
Zr  0.0977  0.7147  0.9965
Zr  0.1426  0.8574  0.7500
Zr  0.1687  0.3119  0.7653
Zr  0.2853  0.9023  0.5035
Zr  0.3119  0.1687  0.2653
Zr  0.6881  0.8313  0.7347
Zr  0.7147  0.0977  0.4965
Zr  0.8313  0.6881  0.2347
Zr  0.8574  0.1426  0.2500
Zr  0.9023  0.2853  0.0035
Tl  0.3809  0.6191  0.2500
Tl  0.6191  0.3809  0.7500
Cd  0.0000  0.5000  0.5000
Cd  0.5000  0.0000  0.0000

The 12 most intense peaks (5° ≤ 2θ ≤ 70°), in order of falling intensity:
- 2θ = 34.19°, rel. 100
- 2θ = 36.59°, rel. 85
- 2θ = 39.62°, rel. 64
- 2θ = 29.67°, rel. 52
- 2θ = 33.63°, rel. 48
- 2θ = 33.92°, rel. 35
- 2θ = 35.32°, rel. 34
- 2θ = 36.35°, rel. 30
- 2θ = 16.90°, rel. 29
- 2θ = 46.38°, rel. 27
- 2θ = 45.41°, rel. 22
- 2θ = 34.64°, rel. 22



Record 2
For Tb5Si2B8, a cell relaxed with GGA-PBE gives the simulated powder diffraction line list in this record (λ = 1.5418 Å (Cu Kα)).
No peak broadening, texture or thermal motion is included.

Cell and atoms:
a b c (Å): 7.2595 7.2595 8.1553
angles (deg): 90.00 90.00 90.00
Sites, in units of the cell vectors:
Tb  0.0000  0.0000  0.0000
Tb  0.1807  0.3193  0.2762
Tb  0.1807  0.3193  0.7238
Tb  0.3193  0.8193  0.2762
Tb  0.3193  0.8193  0.7238
Tb  0.5000  0.5000  0.0000
Tb  0.6807  0.1807  0.2762
Tb  0.6807  0.1807  0.7238
Tb  0.8193  0.6807  0.2762
Tb  0.8193  0.6807  0.7238
Si  0.1146  0.6146  0.0000
Si  0.3854  0.1146  0.0000
Si  0.6146  0.8854  0.0000
Si  0.8854  0.3854  0.0000
B  0.0000  0.0000  0.3393
B  0.0000  0.0000  0.6607
B  0.0393  0.8279  0.5000
B  0.0904  0.5904  0.5000
B  0.1721  0.0393  0.5000
B  0.3279  0.5393  0.5000
B  0.4096  0.0904  0.5000
B  0.4607  0.3279  0.5000
B  0.5000  0.5000  0.3393
B  0.5000  0.5000  0.6607
B  0.5393  0.6721  0.5000
B  0.5904  0.9096  0.5000
B  0.6721  0.4607  0.5000
B  0.8279  0.9607  0.5000
B  0.9096  0.4096  0.5000
B  0.9607  0.1721  0.5000

The 12 most intense peaks (5° ≤ 2θ ≤ 70°), in order of falling intensity:
- 2θ = 33.03°, rel. 100
- 2θ = 35.34°, rel. 98
- 2θ = 27.47°, rel. 66
- 2θ = 39.24°, rel. 34
- 2θ = 56.97°, rel. 31
- 2θ = 51.93°, rel. 27
- 2θ = 58.50°, rel. 24
- 2θ = 27.94°, rel. 22
- 2θ = 34.96°, rel. 21
- 2θ = 21.80°, rel. 21
- 2θ = 26.89°, rel. 20
- 2θ = 44.43°, rel. 17



Record 3
For AcSm3Pt8, a cell relaxed with GGA-PBE gives the simulated powder diffraction line list in this record (λ = 1.5418 Å (Cu Kα)).
No peak broadening, texture or thermal motion is included.

Cell and atoms:
a b c (Å): 5.5363 5.5363 9.0952
angles (deg): 90.00 90.00 120.00
Sites, in units of the cell vectors:
Ac  0.0000  0.0000  0.0000
Sm  0.0000  0.0000  0.3748
Sm  0.6667  0.3333  0.4943
Sm  0.6667  0.3333  0.8583
Pt  0.1655  0.3311  0.6793
Pt  0.1655  0.8345  0.6793
*/
Do you have an endorsement process? – **(if you have a great process feel free to skip to the end)
Having a written endorsement process is key for organizations to stay on track and build political power over time: Having a consistent process allows you, your team and your members to engage and help in the process every year, but many groups have had the same play book and have not mixed up how they communicate endorsements in a long time. Here are our ideas on how to up your game when it comes to communicating endorsements.
The basics:
Know the races you will endorse in: You do not have to endorse in every race. If a race does not matter to your organization, don’t endorse. Yes, as a community member you may want to endorse in every race, but if you do, make sure you have the resources, time, money and effort.
Understand what your endorsement means: All endorsements don’t mean the same thing -make sure you know what the endorsement or recommendation means for your organization; what will you do to help candidates, and will you do the same thing for every candidate? If there is a tier, make sure you are clear internally and externally what it is.
Misplaced calculated crystals:
........
Starting from a cell relaxed with PBE+U, the powder XRD pattern of FeC2O6 was calculated for Cu Kα.

Structure:
Lattice parameters (Å, degrees): 4.7868 4.7868 16.9300 90.00 90.00 120.00
Space group R-3 (No. 148, hexagonal axes)
Inequivalent atoms, fractional coordinates:
1 Fe 0.0000 0.0000 0.0000 [3 per cell]
2 C 0.0000 0.0000 0.2655 [6 per cell]
3 O 0.0387 0.7527 0.7351 [18 per cell]

Principal peaks in the range 10 to 80 degrees two-theta, in order of rising 2θ:
2θ (°)	I (rel.)
15.70	100
22.08	58
30.18	74
40.96	37
43.31	14
45.03	9
48.28	11
49.97	19
51.71	10
59.22	11
60.05	7
62.81	12

----------

# 1
For Ta3Tc, a crystal structure in Alexandria, relaxed with GGA-PBE gives the calculated PXRD pattern in this record (λ = 1.5418 Å (Cu Kα)).
Peak positions follow from Bragg's law for the DFT cell and can differ from measured ones.

Structural model:
Unit cell a=3.2170 b=3.2170 c=6.6307 alpha=90.00 beta=90.00 gamma=90.00
Fractional coordinates of all 4 atoms:
Ta 0.0000 0.0000 0.0000
Ta 0.5000 0.5000 0.2611
Ta 0.5000 0.5000 0.7389
Tc 0.0000 0.0000 0.5000

Most intense lines, 10° ≤ 2θ ≤ 90°, by angle:
d 2.309, intensity 100; d 2.275, intensity 48; d 1.658, intensity 9; d 1.609, intensity 17; d 1.340, intensity 17; d 1.320, intensity 34; d 1.154, intensity 11; d 1.137, intensity 5


# 2
For Sm4MgTe5, a crystal structure in Alexandria, relaxed with GGA-PBE gives the calculated PXRD pattern in this record (λ = 1.5418 Å (Cu Kα)).
Peak positions follow from Bragg's law for the DFT cell and can differ from measured ones.

Structural model:
Unit cell a=7.6441 b=7.6441 c=7.6441 alpha=99.56 beta=99.56 gamma=131.89
Fractional coordinates of all 10 atoms:
Sm 0.0917 0.6898 0.7814
Sm 0.3102 0.0917 0.4019
Sm 0.6898 0.9083 0.5981
Sm 0.9083 0.3102 0.2186
Mg 0.4839 0.4839 0.0000
Te 0.2197 0.4009 0.6198
Te 0.4009 0.7810 0.1812
Te 0.5999 0.2197 0.8188
Te 0.7810 0.5999 0.3802
Te 0.9934 0.9934 0.0000

Most intense lines, 10° ≤ 2θ ≤ 90°, by angle:
d 3.120, intensity 100; d 2.507, intensity 5; d 2.206, intensity 74; d 1.801, intensity 25; d 1.561, intensity 7; d 1.396, intensity 19; d 1.394, intensity 11; d 1.274, intensity 22


# 3
For Na3Tl4Cd, a crystal structure in Alexandria, relaxed with GGA-PBE gives the calculated PXRD pattern in this record (λ = 1.5418 Å (Cu Kα)).
Peak positions follow from Bragg's law for the DFT cell and can differ from measured ones.

Structural model:
Unit cell a=10.5379 b=7.9733 c=5.2679 alpha=90.00 beta=90.00 gamma=90.00
Fractional coordinates of all 16 atoms:
Na 0.0000 0.0000 0.0000
Na 0.2500 0.0000 0.4991
Na 0.2500 0.5000 0.4988
Na 0.5000 0.0000 0.0000
Na 0.7500 0.0000 0.5009
Na 0.7500 0.5000 0.5012
Tl 0.0000 0.2591 0.5000
Tl 0.0000 0.7409 0.5000
Tl 0.2500 0.2592 0.9990
Tl 0.2500 0.7408 0.9990
Tl 0.5000 0.2591 0.5000
Tl 0.5000 0.7409 0.5000
Tl 0.7500 0.2592 0.0010
Tl 0.7500 0.7408 0.0010
Cd 0.0000 0.5000 0.0000
Cd 0.5000 0.5000 0.0000

Most intense lines, 10° ≤ 2θ ≤ 90°, by angle:
........
Here the text continues:
What is your organization’s goal behind endorsements?: Endorsers bring credibility and trust both for candidates and organizations. Make sure you communicate those goals clearly.
Can you remove endorsements?: Yes - bad campaign behavior can lose candidates organizational endorsements. It is extremely rare for organizations to rescind endorsements as a last resort. Make sure you communicate how this could happen and be clear about this in writing.
Non-endorsements & dual endorsements: I would advise organizations to make a choice, but in rare circumstances this is not possible. Orgs decide they don’t have the votes at all, or they pick a couple candidates they could support in a large field.
Know what you will do with the questionnaire: Why are you asking for folks to fill out a questionnaire? - we have read too many questionnaires over the years that have lost their strategy. Put real thought into the questions and make sure you know which questions will make a difference for you.
How will you hold endorsers accountable?: Accountability has become a growing concern for organizations over time after having folks get endorsements, use them, and change positions, or not be true advocates for causes they say they believe in. Groups are more actively tracking where candidates go after they endorse. Think about how you will do that.
Don’t forget to promote your endorsements and recommendations: Campaign endorsements don’t promote themselves. The only way to get voters to know about endorsements is for you to tell them. Do not assume organizations or newspapers will get the endorsements out. You need your own strategy to do it.
Have questions about member communications? Drop us a note.